Earthday 2019


The mountains are calling and I must go.

In every walk with nature one receives far more than he seeks.

The clearest way into the Universe is through a forest wilderness.

-John Muir


I have heard that those who celebrate life

walk safely among the wild animals.

-Tao Te Ching, v.50  http://www.wright-house.com/religions/taoism/tao-te-ching.html


All Feral Magick comes from direct experience of the Feral Gnosis and is based on an active will towards integrating with Deep Nature, for without being one with deep nature there can be no Feral consciousness. In Feral Magick we take particular interest in energetic and spirit aspects of flora and fauna, they being the incarnate avatars of the Feral Gnosis, the emissaries of Nature or Mother Earth. However, let me first speak generally about the Feral Gnosis, what it is and how it manifests.

The origin of Feral Gnosis is in the truth that Nature is ALL of manifest divinity, we reinforce this on-going gratitude and understanding of the complete integration of the human being as a  living part of Nature with this simple prayer:


This is no religious prayer, it is a statement of fact. All thing come from Nature, all returns to nature, we can only give gratitude and honor to Her for she does not need us as we need Her. She existed before Homo Sapiens evolved and will likely be here long after we are gone.

The Feral Gnosis and all of Feral Magick is Gaia-consciousness centered. By completely focusing on (and remembering) our true integration with Nature AS Natural beings we open to the Gaic consciousness. Some call this the Tao. Intrinsic to this modality of spiritual work is the absolute and conscious as well as unconscious acceptance of the truth that we are animals, primates to be exact, and that by accessing our innate animal being we gain direct connection to the Will and Love of Nature, our most crucial survival and spiritual Source. We call this animal being the Animalself.

Most human beings have severed themselves form this primary source of being which is also the wellspring of personal and social evolution, and thus we have not progressed spiritually as we have evolved technologically. In fact, the toxic effects of such a separation from Nature and a rejection of the Natural Source of our Animalselves has led to a bitter devolution in humankind, we have more and more access to floods of information but less and less access to real knowledge, wisdom and consciousness. Cutting ourselves off from Nature through such false human constructs as  religions, political parties, money-cult, -isms of all kinds and the ubiquitous view that everything is exploitable has left most human beings numb walking atomotons who see Nature as a vague consumable or an opportunity for more mindless entertainment. On Earth Day we pay lip service to the source of ALL while tossing our plastic water bottles out and continue to blindly go about poisoning the very source of our breath, food and water in muddled ignorance and selective blindness, often feeling powerless. This is because we have lost the Feral Gnosis, the instinct and connection with the Earth that guided us for aeons. You are not really powerless, reach out into the wildness about you and in you and let the Feral Gnosis flow and empower you.

No other animal constantly seeks its own destruction, kills with no reason or shits where it eats and sleeps. No plant seeks its own extinction or creates double-binds of expansion and environmental destruction. We do, daily. Unlocking true being is what is called for.

Earth-centered cultures, like animals and plants, generally work within Nature as part of Nature, valuing and accepting and honoring the amazing, nurturing  world about them. Most such cultures believe that while areas are tribal homes, ‘land’ itself could not be ‘owned,’ how could it? When such peoples kill to eat, they honor the spirit of the animals or plants that they consume. Their festivals and ceremonies grow out of natural seasons and events such as solstices, equinoxes and lunar changes. All of this is easy to research and verify. Such cultures are and were not idyllic, there was war and egregious aggression and territorialism, but Nature itself was respected by all and wholesale devastation and destruction was uniformly avoided as clearly insane behavior.

The wave of often patriarchal philosophical religions based on dogma and ‘divine revelations’ offered ego- centered belief in human uniqueness and sole divinity of hairless monkeys and were militantly based on the end of harmony between humans and Nature. ‘Primitive’ Earth-centered cultures were attacked and enslaved or just massacred. Some surviving Earth Centered cultures and religions can still be found, and offer some keys to the revival of Feral Magick.

Feral Magick seeks to  REMEMBER the ancient primal path of innate primal spirituality by seeking the surviving  inner and outer gnosis-threads of Animalself. Existing Natural cultures can help us learn and remember the implementation of such gnosis, but never through cultural appropriation. Our work is to listen and find our own way to remember and find within us the hidden wellspring of Feral gnosis that has been walled off from our core being by civilization, education, religious indoctrination, traditional family and gender roles, work and all the things that go into making up our narrow worldview. This programming and the great toxic lies of death-culture is what Feral Magick seeks to sidestep.

Here are the three Big Lies we must eliminate to attain Feral Gnosis:

What comes next are materials data, not part of the article.
1.
The following is a DFT calculation (r2SCAN) of a relaxed DyVO4 crystal.

Values from the calculation:
The formation energy from the elements comes out at -3.292 eV/atom. As for the magnetization: 0.00 μB per cell.

Cell: 5.9388 5.9388 5.9391 Å, 106.27 106.27 116.08°
Last column: nearest neighbours and their distance in Å.
Atoms (fractional coordinates):
Dy 0.8750 0.1250 0.7500  8 O 2.30-2.43
Dy 0.1250 0.8750 0.2500  8 O 2.30-2.43
V 0.6250 0.3750 0.2500  4 O 1.72
V 0.3750 0.6250 0.7500  4 O 1.72
O 0.7998 0.7346 0.4348  1 V 1.72
O 0.7998 0.3650 0.0652  1 V 1.72
O 0.2654 0.2002 0.0652  1 V 1.72
O 0.2002 0.6350 0.9348  1 V 1.72
O 0.2002 0.2654 0.5652  1 V 1.72
O 0.6350 0.2002 0.4348  1 V 1.72
O 0.7346 0.7998 0.9348  1 V 1.72
O 0.3650 0.7998 0.5652  1 V 1.72

---

2.
The following is a DFT calculation (r2SCAN) of a relaxed DyY3O6 crystal.

Values from the calculation:
The formation energy from the elements comes out at -3.910 eV/atom. As for the magnetization: 0.00 μB per cell.

Cell: 9.1831 9.1831 10.6020 Å, 54.74 54.74 70.54°
Last column: nearest neighbours and their distance in Å.
Atoms (fractional coordinates):
Dy 0.5325 0.4675 0.5000  6 O 2.25-2.33
Dy 0.2826 0.7825 0.7174  6 O 2.25-2.33
Dy 0.2175 0.7174 0.2826  6 O 2.25-2.33
Dy 0.0327 0.9673 0.5000  6 O 2.25-2.33
Y 0.9676 0.0324 0.0000  6 O 2.25-2.33
Y 0.0002 0.5001 0.7500  6 O 2.28
Y 0.7175 0.2175 0.7824  6 O 2.25-2.34
Y 0.7825 0.2825 0.2176  6 O 2.25-2.34
Y 0.2500 0.2500 0.0325  6 O 2.25-2.34
Y 0.2500 0.2500 0.5324  6 O 2.25-2.34
Y 0.4999 0.9998 0.2500  6 O 2.28
Y 0.0000 0.4999 0.2501  6 O 2.28
Y 0.4674 0.5326 0.0000  6 O 2.25-2.34
Y 0.5001 0.0000 0.7499  6 O 2.28
Y 0.7500 0.7500 0.4676  6 O 2.25-2.34
Y 0.7500 0.7500 0.9675  6 O 2.25-2.34
O 0.4577 0.2396 0.7810  3 Y 2.25-2.33, 1 Dy 2.26
O 0.0426 0.2608 0.9782  4 Y 2.25-2.34
O 0.0316 0.7282 0.7611  2 Dy 2.25-2.33, 2 Y 2.27-2.28
O 0.7282 0.0315 0.2610  4 Y 2.25-2.33
O 0.2280 0.5317 0.9792  1 Dy 2.25, 3 Y 2.27-2.34
O 0.5314 0.2283 0.4793  3 Y 2.25-2.28, 1 Dy 2.33
O 0.7392 0.9574 0.0218  4 Y 2.25-2.34
O 0.7604 0.5423 0.2190  3 Y 2.25-2.33, 1 Dy 2.26
O 0.9890 0.2292 0.2927  1 Dy 2.25, 3 Y 2.27-2.34
O 0.5109 0.2707 0.0109  4 Y 2.25-2.33
O 0.2294 0.9888 0.7923  3 Y 2.25-2.33, 1 Dy 2.26
O 0.2707 0.5113 0.5104  2 Dy 2.25-2.26, 2 Y 2.28-2.34
O 0.4887 0.7293 0.4896  2 Dy 2.25-2.26, 2 Y 2.28-2.34
O 0.0112 0.7706 0.2077  3 Y 2.25-2.33, 1 Dy 2.26
O 0.7708 0.0110 0.7073  1 Dy 2.25, 3 Y 2.27-2.34
O 0.7293 0.4891 0.9891  4 Y 2.25-2.33
O 0.2392 0.4575 0.2815  3 Y 2.25-2.28, 1 Dy 2.33
O 0.2604 0.0422 0.4783  2 Y 2.25-2.28, 2 Dy 2.26-2.33
O 0.7717 0.4686 0.5207  3 Y 2.25-2.28, 1 Dy 2.33
O 0.4683 0.7720 0.0208  1 Dy 2.25, 3 Y 2.27-2.34
O 0.2718 0.9684 0.2389  2 Dy 2.25-2.33, 2 Y 2.27-2.28
O 0.9685 0.2718 0.7390  4 Y 2.25-2.33
O 0.5425 0.7608 0.7185  3 Y 2.25-2.28, 1 Dy 2.33
O 0.9578 0.7396 0.5217  2 Y 2.25-2.28, 2 Dy 2.26-2.33

---

Q: Look up the magnetization of the second one.
A: 0.00 μB per cell

---

Q: What is the formula in the second record?
A: DyY3O6

  • Human beings are NOT animals, we are above and beyond animals.
  • Human beings were given dominion of the Earth to do with as we please by a cruel Father God (or political/economic -ism.) There is no crime in destroying nature.
  • Human beings are ‘above’ and not part of Natural cycles, we live, we die, we go elsewhere- forever. The World will be destroyed as per scripture by a divine plan, sustainability is unnecessary.

All of these are destructive lies, all of these lies have led us down the wrong path and all of these lies must be both denied and actually ‘deprogrammed’ to directly participate in the Feral Gnosis.

- - -
Entry 1:
A plane-wave DFT calculation with meta-GGA r2SCAN was carried out for crystalline Ba2CdIn at its relaxed geometry.

Unit cell a=6.021 b=6.021 c=6.021 alpha=60.00 beta=60.00 gamma=60.00
Sites, in units of the cell vectors:
In  0.000  0.000  0.000
Cd  0.500  0.500  0.500
Ba  0.750  0.750  0.750
Ba  0.250  0.250  0.250

magnetic moment	0.0	μB per cell
E_form	-0.400	eV per atom
E_tot	-97.28	eV for the cell shown



Entry 2:
A plane-wave DFT calculation with meta-GGA r2SCAN was carried out for crystalline Rb2CrCl4 at its relaxed geometry.

Unit cell a=5.032 b=5.032 c=8.675 alpha=73.80 beta=73.80 gamma=89.99
Sites, in units of the cell vectors:
Cl  0.000  0.500  0.000
Cl  0.854  0.854  0.307
Rb  0.635  0.635  0.720
Cl  0.500  0.000  0.000
Rb  0.365  0.365  0.280
Cr  0.000  0.000  0.000
Cl  0.146  0.146  0.693

offset from the most stable computed form	0.007	eV per atom
magnetic moment	4.0	μB per cell
E_form	-1.845	eV per atom
E_tot	-80.46	eV for the cell shown



Entry 3:
A plane-wave DFT calculation with meta-GGA r2SCAN was carried out for crystalline InNi3 at its relaxed geometry.

Unit cell a=5.292 b=5.292 c=4.181 alpha=90.00 beta=90.00 gamma=120.00
Sites, in units of the cell vectors:
Ni  0.844  0.689  0.250
Ni  0.156  0.311  0.750
Ni  0.156  0.844  0.750
Ni  0.689  0.844  0.750
Ni  0.311  0.156  0.250
Ni  0.844  0.156  0.250
In  0.333  0.667  0.250
In  0.667  0.333  0.750

magnetic moment	1.8	μB per cell
E_form	-0.048	eV per atom
E_tot	-117.43	eV for the cell shown



Entry 4:
A plane-wave DFT calculation with meta-GGA r2SCAN was carried out for crystalline NbTe4Ir at its relaxed geometry.

Unit cell a=3.808 b=12.680 c=13.916 alpha=90.00 beta=90.00 gamma=90.00
Sites, in units of the cell vectors:
Te  0.000  0.348  0.092
Te  0.500  0.150  0.604
Nb  0.000  0.269  0.491
Nb  0.000  0.054  0.005
Te  0.500  0.588  0.130
Te  0.000  0.890  0.641
Ir  0.500  0.465  0.499
Te  0.000  0.564  0.401
Te  0.500  0.652  0.592
Te  0.000  0.065  0.394
Te  0.000  0.195  0.863
Te  0.000  0.850  0.104
Te  0.000  0.412  0.630
Ir  0.000  0.751  0.494
Te  0.500  0.325  0.355
Nb  0.500  0.731  0.991
Te  0.500  0.805  0.363
Te  0.000  0.675  0.855
Te  0.500  0.436  0.901
Ir  0.500  0.249  0.994
Te  0.500  0.110  0.141
Ir  0.000  0.535  0.999
Te  0.500  0.935  0.894
Nb  0.500  0.946  0.505

magnetic moment	0.0	μB per cell
E_form	-0.483	eV per atom
E_tot	-726.64	eV for the cell shown



Entry 5:
A plane-wave DFT calculation with meta-GGA r2SCAN was carried out for crystalline Er3Pt4 at its relaxed geometry.

Unit cell a=5.670 b=7.754 c=7.758 alpha=114.33 beta=104.13 gamma=104.11
Sites, in units of the cell vectors:
Er  0.027  0.622  0.748
Pt  0.500  0.000  0.000
Pt  0.938  0.166  0.490
Pt  0.000  0.000  0.000
Er  0.405  0.126  0.378
Pt  0.448  0.510  0.676
Er  0.279  0.252  0.874
Pt  0.552  0.490  0.324
Er  0.973  0.378  0.252
Er  0.721  0.748  0.126
Pt  0.228  0.676  0.166
Er  0.595  0.874  0.622
Pt  0.062  0.834  0.510
Pt  0.772  0.324  0.834
- - -

Life is a series of initiatory experiences that bring us into communion with other beings and sources of life that help us reach our full potential and joy. We can not be outside a communion and claim we understand it and have access to it’s mysteries. Things may be learned by studying a way of life or culture or religious philosophy, but unless you are fully immersed and PART of that communion, you are mere studying something OTHER, you are not fully participating, you are not ‘in communion.’ It is ‘they’ not ‘us.’

Animists, Pagans and Pantheists are often the closest to the Feral Gnosis, but those who read about, study, write about other Animist or Pagan traditions AND appropriate or teach about such things without being part of those traditions are like the blind leading the blind unless they are OF that communion. Feral Magick and Feral Gnosis are about direct experience.

Some say they have studied and understand the festivals of nature religions and the agrarian cycle so closely tied to such festivals in many cultures. However, if they have never grown food or been part of a natural lifestyle, can they understand and feel the tides of nature as they ebb and flow through the earth without soil in hands and under feet? Feral Gnosis is about directly removing artificial constructs and directly experiencing the Natural World. This begins with the food we grow and eat, the water we gather and drink and the fresh air we breathe when we live within Nature, in communion with Her.

These things can not be intellectualized. They are not abstract or philosophical.

Feral Magick is the HOWL of the Feral Gnosis erupting from the rapidly disappearing deep wilderness, calling ALL to return to the primal, to return to our Natural home  that was abandoned. By growing and finding food and herbs, by communing directly with the co-existent beings of Nature and directly COMMUNICATING with them we can receive gnosis directly from the source of ALL life! While the deep Wilderness is the ever-present temple of the Feral Gnosis, it emerges wherever there is communion between human and Deep Nature in a loving, open manner, whether it be in mountain wilderness or in a densely wooded park.

This leads us to the simple yet difficult path to connecting with the Feral Gnosis. To do so we must remember, reflect, renew and revitalize ourselves and our way of Communion with Nature on the deepest of levels.

Feral Magick envisions three phases of this-

REFLECT AND REJECT FALSE FEARS AND SEPARATION: This entails deprogramming and letting go of intellectual clutter, muck, false-walls and falsehoods that have been dumped on us and accepted as ‘real’ our whole lives. This means becoming CONSCIOUS that we are indeed OF NATURE, breaking through our fear of Nature and ‘tapping into’ the pure experience of  Natural gnosis.

REDISCOVER AND REMEMBER OUR ANIMALSELVES: We must find, embrace and activate our Animalselves. This is our most primordial feral, intuitive, unconscious/group unconscious species mind. It exists as part of us and always has. It’s truths are carven on the sacred scrolls of our DNA. Our genes are 98% identical to chimpanzees. We contain ALL animal DNA within us. We have forgotten that all spiritual work and discovery and revelation of any worth involves the exploration, activation and implementation of this gene-gnosis. This is the core methodology of Feral Magick.

REVITALIZE AND RENEW OUR LIVES: The unfolding of Feral Magick as a permanent shift of consciousness and recentering as a Gaic Animlself with options takes time and there is only one Guru of worth: Nature, the wilder the better. The rapid destruction of the most vital fonts of Gaia power and therefore of Feral Gnosis, that is, true wilderness, is the single greatest threat to Feral Magick and thus humanity. As the Muir quote that began this essay says,

“The clearest way into the Universe is through a forest wilderness.”

This is a bedrock truth: To really connect directly with the Feral Gnosis, one must go to the taproot of primal Nature, real wilderness. Here Nature rules supreme, all is in balance and the truth of what is and is not REAl is self evident. One does not need to seek divinity above or without- our true divinity is both reflected and imminent whenever we enter true wilderness alone  with an open mind, heart and being. Anytime one does so, with reverence, cell phones off, without speaking, the awe of Gaia will descend with but little meditation and with it the bliss of communion with Nature. When one truly is OPEN to this blessing, the Feral Gnosis begins to whisper, well up from the Wildness and reveal itself. Once one truly feels at home within this communion, real work may begin in remembering and restoring our links with the Feral Gnosis through our Animalself.

Moving past instilled ‘fear of wilderness’ is a key part of this work. Our toxic programming has twisted us into being paranoid of wild nature and the animals that live there. This fear is dumb and evil, it has caused much civilized misery. It has pushed most peoples to withdraw from Nature back to ‘civilization’ out of fear. This fear makes it easier to justify pillaging and raping ‘scary’ Nature, as well as killing all ‘dangerous’ animals. ‘Civilizing’ the wilderness is a pernicious cultural belief, reinforcing the dogma that we OWN Nature and so we can dictate what it is and is not ‘allowed to be’ with no repercussions! Such hubris and arrogance now leads us to self destruction.

Such civilization has used fear of Nature to help suppress and twist our Animalselves into cages of civilized acceptability from an early age! Children who act naturally are called ’wild things’ or ‘animals’ as an insult, as are ‘uncivilized’ peoples. Being an animal is bad in this schema. This language and cultural semiotics forms a huge unconscious block to really being able to reach out and TOUCH and FEEL and EMBRACE the Wildness and animal within. Thus we are cut off from the electric flow of Feral Magick. For most, such ‘wild animalistic’ energy is too sexual, too intense, to visceral, and too out-of-control, to be comfortable for most ‘civilized’ people. It challenges ALL ‘civilized’ beliefs, and taboos which call for ORDER, not CHAOS! A wild animal to most ‘civilized’ people is seen as ‘dangerous’ but those still practicing Nature based religions see such an animal as beautiful, powerful, spiritual beings, and sources of wisdom or even as ancestors or totemic allys.

The prison of much ‘civilization’ leads to unhappiness, depression and neuroses. We seek to dull the pain of isolation from what is naturally vital with mass consumerism, drugs, empty media entertainment and things that simply don’t matter. The powerful gnosis of immersing yourself in a mountain valley hike will bring you more joy than a dozen blockbusters or FB posts or all the junk food in the world.

The Call of Feral Gnosis does not insist on stone-age survivalism or a Muir-like hermit solitude amidst the forests, but it does remind us that we NEED  Nature, it provides everything important. We can pretend that our food comes from stores and our water from bottles, but it doesn’t, not really. The goal in life is to be happy, fulfilled, open. For this you need is Nature and an awakened animalself. When you touch the Feral Gnosis gathering herbs or under a redwood, or making wild uninhibited love, you feel alive. This is communion with Nature by BEING of Nature.

All civilizations rise and fall and, one way or the other, we will again be eventually intimately reconnected with Nature, whether we choose to or not. Our species may or may not survive the ecological mess we have created, odds are not great if we do not realign with Gaia. Feral Magick reminds us that there have been MANY similar species on this planet that faded away because of the flow of Nature, including our cousin Neanderthals and Cro-Magnon. They only exist in our DNA markers now. Think about the term ‘Natural selection’  in terms of Gaia,

It is in our own best interest to be PART of Nature and thus join our deep intelligence and, more importantly, intuition and intuitive spiritual being with Nature as part of Nature.

Unlike most ‘animals (not all!) we can cognate more about these things, we can make choices, we can seek interrelation and balance our ‘human’ cognition and ability to separate consciousness from Nature via Self while also immersing ourselves in, connecting with and becoming our Animalself as a unit of Gaia. Shamans and other intuitives in Nature based cultures and religions know and have worked with the Feral Gnosis from the dawn of the emergence of consciousness. We can see many such shapeshifter animal-human forms on cave paintings that are up to 65,000 years old. This reflects on every animal-human hybrid god and goddess form which also emanate the Feral Gnosis. Yet honoring such Feral Magick gods such as Pan or Hathor is not enough, we each must make the pilgrimages to the font of the Feral Gnosis itself. This entails making a sacred retreat into WILDERNESS and we need to do so alone. Some cultures refer tol such pilgrimages as ‘visionquests.’ There are many way to accomplish this initiatory adventure but it always triggers the LETTING GO of all the toxic crap and blockages holding us back from a complete embrace of Nature and the Animalself. Only alone can a  person do ‘deep work’ on his or herself, eliminate Fear of Wildness and break through the strong emotional, physical and mental barriers that our programming has built up between us and Nature.

Those peoples who live closer to nature are generally happier and better adjusted, those who accept their Animalself do not generally create false and abstract dogmas, restrictions, taboos, laws and ‘sins’ used to control others. We have drifted into the dangerous and toxic  global schema of suppressing and ‘taming’ our Animalselves to makes us ‘civilized.’ Thus our now emerging global ‘civilization’ is heading towards an explosive self destruction that involves both man-made and global environmental disasters which promotes the apocalyptic script set in place by most ‘philosophical’ patriarchal religions and exploitative political/economic -isms.

Most  feel powerless to avoid the self-destructive path we are on, but we can each take the truly revolutionary step of removing ourselves and our energy from this death-march by returning to our primal wilderness Mother, to drink from the grail of Feral Gnosis. Such gnosis is free and open to any who make the effort to break through their fears and ego-walls and enter the state of grace in wildness, embraced by true wilderness. It requires no specific  faith, belief or ritual, though Feral Magick rituals are powerful tools. All that is necessary is the love and will to LET GO of restrictions and to open your mind, heart and body to the pure power and flow of Nature and so receive the Feral Gnosis directly as it speaks to you. In this way we slowly and deeply rediscover our Animalself as well as our our True Self in communion with Gaia and thus move towards wholeness and truth.

In this way, our individual integration of the Feral Gnosis will help and change the Earth, one ‘human Gaia synapse’ at a time.

Feral Gnosis and Fereal Magick does not offer a complete solution to the problems that beset us, but it will affect a simple yet profound change on a personal and societal level as we fully accept our place as ‘Aware Animalselves’ as part of Nature. We thus literally become and so return to the Eden that has always been here as we awaken to our true Being that has been sleeping. In this way we can manifest the Feral Gnosis that is the play of joyous life.


Knowing the constant, we accept things as they are.

By accepting things as they are, we are impartial.

By being impartial, we are part of the Nature.


-Tao Te Ching quotes, Verse 16      https://terebess.hu/english/tao/mitchell.html (trans. Mitchell)


In harmony with the Tao,

the sky is clear and spacious,

the earth is solid and full,

Misplaced data records:
┌──
## K2CuF4 (r2SCAN)

Data for a geometry-optimized K2CuF4 structure.

Geometry as POSCAR:
```
K2CuF4
1.0
-3.692 2.270 -3.871
3.768 -1.147 -4.268
-0.814 -6.841 1.121
K Cu F
4 2 8
Direct
0.642 0.000 0.284
0.858 0.500 0.716
0.142 0.500 0.284
0.358 0.000 0.716
0.000 0.000 0.000
0.500 0.500 0.000
0.768 0.232 0.000
0.268 0.268 0.000
0.732 0.732 0.000
0.232 0.768 0.000
0.347 0.500 0.693
0.153 0.000 0.307
0.847 0.000 0.693
0.653 0.500 0.307
```

Its symmetry is Cmce (64). As for the volume: 15.30 Å³/atom. The excess energy over the best structure of this formula in the dataset is 0.0000 eV/atom. The value obtained for the energy relative to the elements is -2.5486 eV per atom. As for the total energy: -7.6040 eV per atom.

=====

1.
Compound: Rb2Tb3AlF16
Source: the Materials Project database
Functional: PBE-GGA
Structure: optimized geometry

Cell: 7.8108 7.8108 12.7657 Å, 90.00 90.00 120.00°
Space group P6_3/mmc (No. 194)
One atom of each set of equivalent atoms:
Rb: 0.3333 0.6667 0.0642 [4 per cell]
Tb: 0.1672 0.3344 0.7500 [6 per cell]
Al: 0.0000 0.0000 0.0000 [2 per cell]
F: 0.0000 0.0000 0.2500 [2 per cell]
F: 0.0998 0.5499 0.6543 [12 per cell]
F: 0.1121 0.2242 0.5799 [12 per cell]
F: 0.1827 0.3654 0.2500 [6 per cell]

Computed properties:
For the distance to the lowest polymorph of the same formula, the calculation gives 0.000 eV/atom.

---

2.
Compound: AlSnF5
Source: the Materials Project database
Functional: PBE-GGA
Structure: optimized geometry

Cell: 3.803 6.818 8.261 Å, 90.00 90.00 90.00°
Space group Immm (No. 71)
One atom of each set of equivalent atoms:
Al: 0.000 0.000 0.000 [2 per cell]
Sn: 0.000 0.000 0.500 [2 per cell]
F: 0.000 0.000 0.217 [4 per cell]
F: 0.000 0.272 0.000 [4 per cell]
F: 0.000 0.500 0.500 [2 per cell]

---

3.
Compound: Ti3AlF15
Source: the Materials Project database
Functional: PBE-GGA
Structure: optimized geometry

Cell: 6.065 9.924 9.389 Å, 90.00 104.05 90.00°
Space group P2_1/m (No. 11)
One atom of each set of equivalent atoms:
Ti: 0.000 0.000 0.000 [2 per cell]
Ti: 0.027 0.056 0.668 [4 per cell]
Al: 0.435 0.750 0.732 [2 per cell]
F: 0.093 0.078 0.198 [4 per cell]
F: 0.122 0.250 0.666 [2 per cell]
F: 0.127 0.081 0.488 [4 per cell]
F: 0.157 0.105 0.874 [4 per cell]
F: 0.244 0.609 0.047 [4 per cell]
F: 0.249 0.619 0.365 [4 per cell]
F: 0.268 0.601 0.707 [4 per cell]
F: 0.406 0.250 0.097 [2 per cell]
F: 0.433 0.250 0.403 [2 per cell]

---

4.
Compound: AlTl2F5
Source: the Materials Project database
Functional: PBE-GGA
Structure: optimized geometry

Cell: 8.999 9.003 7.581 Å, 90.00 90.00 90.00°
Space group Cmcm (No. 63)
One atom of each set of equivalent atoms:
Al: 0.000 0.000 0.000 [4 per cell]
Tl: 0.250 0.248 0.250 [8 per cell]
F: 0.000 0.004 0.750 [4 per cell]
F: 0.000 0.202 0.004 [8 per cell]
F: 0.202 0.000 0.000 [8 per cell]

Computed properties:
For the distance to the lowest polymorph of the same formula, the calculation gives 0.000 eV/atom.

---

5.
Compound: AlTl2F5
Source: the Materials Project database
└──

all creature flourish together,

content with the way they are…

-Tao Te Ching, v.39   https://terebess.hu/english/tao/mitchell.html (trans. Mitchell)